(1)
The following is a DFT calculation (PBE+U) of a geometry-optimized Cr3Fe2O12 structure.

a b c (Å): 6.6983 8.4909 9.9251
angles (deg): 107.57 104.58 103.10
Atoms (fractional coordinates):
Cr (0.8837, 0.8946, 0.6617)
Cr (0.1163, 0.1054, 0.3383)
Cr (0.2177, 0.6655, 0.2605)
Cr (0.7823, 0.3345, 0.7395)
Cr (0.5972, 0.2570, 0.1345)
Cr (0.4028, 0.7430, 0.8655)
Fe (0.3765, 0.9583, 0.6069)
Fe (0.6235, 0.0417, 0.3931)
Fe (0.0502, 0.2126, 0.0183)
Fe (0.9498, 0.7874, 0.9817)
O (0.0744, 0.0538, 0.1490)
O (0.9256, 0.9462, 0.8510)
O (0.5706, 0.1350, 0.2406)
O (0.4294, 0.8650, 0.7594)
O (0.1800, 0.4529, 0.1821)
O (0.8200, 0.5471, 0.8179)
O (0.9792, 0.2822, 0.8410)
O (0.0208, 0.7178, 0.1590)
O (0.2392, 0.7997, 0.9630)
O (0.7608, 0.2003, 0.0370)
O (0.8924, 0.0027, 0.3612)
O (0.1076, 0.9973, 0.6388)
O (0.5436, 0.2177, 0.7359)
O (0.4564, 0.7823, 0.2641)
O (0.3447, 0.2202, 0.0173)
O (0.6553, 0.7798, 0.9827)
O (0.3331, 0.0501, 0.4293)
O (0.6669, 0.9499, 0.5707)
O (0.2225, 0.7196, 0.4383)
O (0.7775, 0.2804, 0.5617)
O (0.7033, 0.4586, 0.2434)
O (0.2967, 0.5414, 0.7566)
O (0.1659, 0.3101, 0.4130)
O (0.8341, 0.6899, 0.5870)

Computed properties:
The total magnetic moment comes out at 20.01 Bohr magnetons per cell. The uncorrected energy is -6.6969 eV/atom. The calculation puts the volume at 14.471 A^3/atom. The polymorph energy (0 for the lowest one) comes out at 31 meV per atom.

(2)
The following is a DFT calculation (PBE+U) of a geometry-optimized CaV2CuO7 structure.

a b c (Å): 8.9304 10.3240 10.3369
angles (deg): 88.11 90.00 90.00
Atoms (fractional coordinates):
Ca (0.4445, 0.8227, 0.5685)
Ca (0.9356, 0.5000, 0.7500)
Ca (0.4445, 0.1773, 0.9315)
Ca (0.0644, 0.5000, 0.2500)
Ca (0.5555, 0.1773, 0.4315)
Ca (0.5555, 0.8227, 0.0685)
V (0.2029, 0.8353, 0.2881)
V (0.7470, 0.8373, 0.3824)
V (0.2530, 0.8373, 0.8824)
V (0.7971, 0.8353, 0.7881)
V (0.2965, 0.5254, 0.9588)
V (0.7470, 0.1627, 0.1176)
V (0.7035, 0.5254, 0.4588)
V (0.2530, 0.1627, 0.6176)
V (0.2965, 0.4746, 0.5412)
V (0.7035, 0.4746, 0.0412)
V (0.7971, 0.1647, 0.7119)
V (0.2029, 0.1647, 0.2119)
Cu (0.9350, 0.1935, 0.4100)
Cu (0.0650, 0.8065, 0.5900)
Cu (0.4427, 0.5000, 0.2500)
Cu (0.9350, 0.8065, 0.0900)
Cu (0.5573, 0.5000, 0.7500)
Cu (0.0650, 0.1935, 0.9100)
O (0.7833, 0.8072, 0.9561)
O (0.7732, 0.1713, 0.2854)
O (0.8524, 0.0000, 0.7500)
O (0.8764, 0.4904, 0.0995)
O (0.3806, 0.0481, 0.5763)
O (0.9271, 0.7313, 0.7171)
O (0.3563, 0.6934, 0.9401)
O (0.1236, 0.4904, 0.5995)
O (0.7154, 0.5165, 0.8761)
O (0.3806, 0.9519, 0.9237)
O (0.7154, 0.4835, 0.6239)
O (0.4200, 0.4236, 0.8779)
O (0.9102, 0.1496, 0.0332)
O (0.0729, 0.7313, 0.2171)
O (0.6437, 0.3066, 0.0599)
O (0.3563, 0.3066, 0.5599)
O (0.9271, 0.2687, 0.7829)
O (0.6194, 0.9519, 0.4237)
O (0.2167, 0.8072, 0.4561)
O (0.5800, 0.5764, 0.1221)
O (0.3753, 0.1907, 0.2701)
O (0.2846, 0.4835, 0.1239)
O (0.0898, 0.1496, 0.5332)
O (0.2846, 0.5165, 0.3761)
O (0.8764, 0.5096, 0.4005)
O (0.5800, 0.4236, 0.3779)
O (0.1236, 0.5096, 0.9005)
O (0.6247, 0.1907, 0.7701)
O (0.6247, 0.8093, 0.7299)
O (0.0898, 0.8504, 0.9668)
O (0.0729, 0.2687, 0.2829)
O (0.7833, 0.1928, 0.5439)
O (0.1476, 0.0000, 0.2500)
O (0.2268, 0.1713, 0.7854)
O (0.6194, 0.0481, 0.0763)
O (0.9102, 0.8504, 0.4668)
O (0.2167, 0.1928, 0.0439)
O (0.7732, 0.8287, 0.2146)
O (0.4200, 0.5764, 0.6221)
O (0.6437, 0.6934, 0.4401)
O (0.2268, 0.8287, 0.7146)
O (0.3753, 0.8093, 0.2299)

Computed properties:
The total magnetic moment comes out at 6.00 Bohr magnetons per cell. The uncorrected energy is -6.9715 eV/atom. The calculation puts the volume at 14.432 A^3/atom.

(3)
The following is a DFT calculation (PBE+U) of a geometry-optimized Li7Mn5O12 structure.

a b c (Å): 6.0338 8.7061 9.8340
angles (deg): 69.02 94.28 70.17
Atoms (fractional coordinates):
Li (0.8333, 0.3333, 0.3334)
Li (0.8334, 0.8333, 0.8333)
Li (0.0882, 0.8364, 0.3312)
Li (0.0728, 0.3329, 0.8427)
Li (0.5785, 0.8303, 0.3354)
Li (0.5939, 0.3338, 0.8239)
Li (0.7583, 0.0015, 0.5049)
Li (0.7664, 0.5095, 0.9906)
Li (0.9003, 0.1572, 0.6761)

Find "(0.3765, 0.9583," and "geometry-optimized Li7Mn5O12" in the listing further above, and print these two lines and those between, please.

Fe (0.3765, 0.9583, 0.6069)
Fe (0.6235, 0.0417, 0.3931)
Fe (0.0502, 0.2126, 0.0183)
Fe (0.9498, 0.7874, 0.9817)
O (0.0744, 0.0538, 0.1490)
O (0.9256, 0.9462, 0.8510)
O (0.5706, 0.1350, 0.2406)
O (0.4294, 0.8650, 0.7594)
O (0.1800, 0.4529, 0.1821)
O (0.8200, 0.5471, 0.8179)
O (0.9792, 0.2822, 0.8410)
O (0.0208, 0.7178, 0.1590)
O (0.2392, 0.7997, 0.9630)
O (0.7608, 0.2003, 0.0370)
O (0.8924, 0.0027, 0.3612)
O (0.1076, 0.9973, 0.6388)
O (0.5436, 0.2177, 0.7359)
O (0.4564, 0.7823, 0.2641)
O (0.3447, 0.2202, 0.0173)
O (0.6553, 0.7798, 0.9827)
O (0.3331, 0.0501, 0.4293)
O (0.6669, 0.9499, 0.5707)
O (0.2225, 0.7196, 0.4383)
O (0.7775, 0.2804, 0.5617)
O (0.7033, 0.4586, 0.2434)
O (0.2967, 0.5414, 0.7566)
O (0.1659, 0.3101, 0.4130)
O (0.8341, 0.6899, 0.5870)

Computed properties:
The total magnetic moment comes out at 20.01 Bohr magnetons per cell. The uncorrected energy is -6.6969 eV/atom. The calculation puts the volume at 14.471 A^3/atom. The polymorph energy (0 for the lowest one) comes out at 31 meV per atom.

(2)
The following is a DFT calculation (PBE+U) of a geometry-optimized CaV2CuO7 structure.

a b c (Å): 8.9304 10.3240 10.3369
angles (deg): 88.11 90.00 90.00
Atoms (fractional coordinates):
Ca (0.4445, 0.8227, 0.5685)
Ca (0.9356, 0.5000, 0.7500)
Ca (0.4445, 0.1773, 0.9315)
Ca (0.0644, 0.5000, 0.2500)
Ca (0.5555, 0.1773, 0.4315)
Ca (0.5555, 0.8227, 0.0685)
V (0.2029, 0.8353, 0.2881)
V (0.7470, 0.8373, 0.3824)
V (0.2530, 0.8373, 0.8824)
V (0.7971, 0.8353, 0.7881)
V (0.2965, 0.5254, 0.9588)
V (0.7470, 0.1627, 0.1176)
V (0.7035, 0.5254, 0.4588)
V (0.2530, 0.1627, 0.6176)
V (0.2965, 0.4746, 0.5412)
V (0.7035, 0.4746, 0.0412)
V (0.7971, 0.1647, 0.7119)
V (0.2029, 0.1647, 0.2119)
Cu (0.9350, 0.1935, 0.4100)
Cu (0.0650, 0.8065, 0.5900)
Cu (0.4427, 0.5000, 0.2500)
Cu (0.9350, 0.8065, 0.0900)
Cu (0.5573, 0.5000, 0.7500)
Cu (0.0650, 0.1935, 0.9100)
O (0.7833, 0.8072, 0.9561)
O (0.7732, 0.1713, 0.2854)
O (0.8524, 0.0000, 0.7500)
O (0.8764, 0.4904, 0.0995)
O (0.3806, 0.0481, 0.5763)
O (0.9271, 0.7313, 0.7171)
O (0.3563, 0.6934, 0.9401)
O (0.1236, 0.4904, 0.5995)
O (0.7154, 0.5165, 0.8761)
O (0.3806, 0.9519, 0.9237)
O (0.7154, 0.4835, 0.6239)
O (0.4200, 0.4236, 0.8779)
O (0.9102, 0.1496, 0.0332)
O (0.0729, 0.7313, 0.2171)
O (0.6437, 0.3066, 0.0599)
O (0.3563, 0.3066, 0.5599)
O (0.9271, 0.2687, 0.7829)
O (0.6194, 0.9519, 0.4237)
O (0.2167, 0.8072, 0.4561)
O (0.5800, 0.5764, 0.1221)
O (0.3753, 0.1907, 0.2701)
O (0.2846, 0.4835, 0.1239)
O (0.0898, 0.1496, 0.5332)
O (0.2846, 0.5165, 0.3761)
O (0.8764, 0.5096, 0.4005)
O (0.5800, 0.4236, 0.3779)
O (0.1236, 0.5096, 0.9005)
O (0.6247, 0.1907, 0.7701)
O (0.6247, 0.8093, 0.7299)
O (0.0898, 0.8504, 0.9668)
O (0.0729, 0.2687, 0.2829)
O (0.7833, 0.1928, 0.5439)
O (0.1476, 0.0000, 0.2500)
O (0.2268, 0.1713, 0.7854)
O (0.6194, 0.0481, 0.0763)
O (0.9102, 0.8504, 0.4668)
O (0.2167, 0.1928, 0.0439)
O (0.7732, 0.8287, 0.2146)
O (0.4200, 0.5764, 0.6221)
O (0.6437, 0.6934, 0.4401)
O (0.2268, 0.8287, 0.7146)
O (0.3753, 0.8093, 0.2299)

Computed properties:
The total magnetic moment comes out at 6.00 Bohr magnetons per cell. The uncorrected energy is -6.9715 eV/atom. The calculation puts the volume at 14.432 A^3/atom.

(3)
The following is a DFT calculation (PBE+U) of a geometry-optimized Li7Mn5O12 structure.